Excerpt:
┌──
No. 1
NaPa2S4: simulated powder diffractogram (copper Kα), based on a crystal structure in Alexandria, relaxed with PBE.

Atomic structure:
```
data_NaPa2S4
_chemical_formula_sum 'Na2 Pa4 S8'
_cell_length_a 6.770
_cell_length_b 6.770
_cell_length_c 13.409
_cell_angle_alpha 90.00
_cell_angle_beta 90.00
_cell_angle_gamma 146.25
_space_group_name_H-M_alt 'P 1'
_space_group_IT_number 1
loop_
_space_group_symop_operation_xyz
'x,y,z'
loop_
_atom_site_label
_atom_site_type_symbol
_atom_site_fract_x
_atom_site_fract_y
_atom_site_fract_z
Na1 Na 0.111 0.889 0.750
Na2 Na 0.889 0.111 0.250
Pa1 Pa 0.370 0.630 0.567
Pa2 Pa 0.370 0.630 0.933
Pa3 Pa 0.630 0.370 0.067
Pa4 Pa 0.630 0.370 0.433
S1 S 0.000 0.000 0.000
S2 S 0.000 0.000 0.500
S3 S 0.269 0.731 0.114
S4 S 0.269 0.731 0.386
S5 S 0.451 0.549 0.750
S6 S 0.549 0.451 0.250
S7 S 0.731 0.269 0.614
S8 S 0.731 0.269 0.886
```

Most intense lines, 10° ≤ 2θ ≤ 90°, sorted by position:
two_theta  I_rel
13.21  90
15.19  47
23.65  53
24.19  100
30.76  43
31.07  33
33.60  45
36.25  31
41.35  32
46.67  61

No. 2
Na4PaS4: simulated powder diffractogram (copper Kα), based on a crystal structure in Alexandria, relaxed with PBE.

Atomic structure:
```
data_Na4PaS4
_chemical_formula_sum 'Na4 Pa1 S4'
_cell_length_a 7.734
_cell_length_b 7.734
_cell_length_c 7.734
_cell_angle_alpha 126.95
_cell_angle_beta 126.95
_cell_angle_gamma 78.33
_space_group_name_H-M_alt 'P 1'
_space_group_IT_number 1
loop_
_space_group_symop_operation_xyz
'x,y,z'
loop_
_atom_site_label
_atom_site_type_symbol
_atom_site_fract_x
_atom_site_fract_y
_atom_site_fract_z
Na1 Na 0.000 0.500 0.500
Na2 Na 0.202 0.202 0.000
Na3 Na 0.500 0.000 0.500
Na4 Na 0.798 0.798 0.000
Pa1 Pa 0.500 0.500 0.000
S1 S 0.162 0.600 0.000
S2 S 0.400 0.400 0.562
S3 S 0.600 0.162 0.000
S4 S 0.838 0.838 0.438
```

Most intense lines, 10° ≤ 2θ ≤ 90°, sorted by position:
two_theta  I_rel
14.79  100
18.16  25
23.49  19
25.76  33
29.86  37
36.78  41
39.82  36
48.06  19
52.98  16
68.32  11

No. 3
Na3Sc3PaS8: simulated powder diffractogram (copper Kα), based on a crystal structure in Alexandria, relaxed with PBE.

Atomic structure:
```
data_Na3Sc3PaS8
_chemical_formula_sum 'Na3 Sc3 Pa1 S8'
_cell_length_a 8.013
_cell_length_b 8.013
_cell_length_c 8.013
_cell_angle_alpha 56.78
_cell_angle_beta 56.78
_cell_angle_gamma 56.78
_space_group_name_H-M_alt 'P 1'
_space_group_IT_number 1
loop_
_space_group_symop_operation_xyz
'x,y,z'
loop_
_atom_site_label
_atom_site_type_symbol
_atom_site_fract_x
_atom_site_fract_y
_atom_site_fract_z
Na1 Na 0.000 0.500 0.500
Na2 Na 0.500 0.000 0.500
Na3 Na 0.500 0.500 0.000
Sc1 Sc 0.000 0.000 0.500
Sc2 Sc 0.000 0.500 0.000
Sc3 Sc 0.500 0.000 0.000
Pa1 Pa 0.500 0.500 0.500
S1 S 0.230 0.743 0.743
S2 S 0.238 0.238 0.238
S3 S 0.257 0.257 0.770
S4 S 0.257 0.770 0.257
S5 S 0.743 0.230 0.743
S6 S 0.743 0.743 0.230
S7 S 0.762 0.762 0.762
S8 S 0.770 0.257 0.257
```

Most intense lines, 10° ≤ 2θ ≤ 90°, sorted by position:
two_theta  I_rel
13.22  73
14.12  56
16.07  25
26.92  28
27.39  23
32.46  100
45.38  34
47.74  33
58.92  20
79.13  18

No. 4
Na2Sm2PaS6: simulated powder diffractogram (copper Kα), based on a crystal structure in Alexandria, relaxed with PBE.

Atomic structure:
```
data_Na2Sm2PaS6
_chemical_formula_sum 'Na2 Sm2 Pa1 S6'
_cell_length_a 7.027
_cell_length_b 7.027
_cell_length_c 7.120
_cell_angle_alpha 99.51
_cell_angle_beta 99.51
_cell_angle_gamma 119.60
_space_group_name_H-M_alt 'P 1'
_space_group_IT_number 1
loop_
_space_group_symop_operation_xyz
'x,y,z'
loop_
_atom_site_label
_atom_site_type_symbol
_atom_site_fract_x
_atom_site_fract_y
_atom_site_fract_z
Na1 Na 0.169 0.831 0.000
Na2 Na 0.831 0.169 0.000
Sm1 Sm 0.335 0.665 0.500
Sm2 Sm 0.665 0.335 0.500
Pa1 Pa 0.000 0.000 0.500
S1 S 0.070 0.398 0.723
S2 S 0.244 0.244 0.277
S3 S 0.398 0.070 0.723
S4 S 0.602 0.930 0.277
S5 S 0.756 0.756 0.723
S6 S 0.930 0.602 0.277
```

Most intense lines, 10° ≤ 2θ ≤ 90°, sorted by position:
two_theta  I_rel
13.17  100
25.60  18
25.73  35
26.88  20
30.98  91
└──
Activity:
Start at the top of the contents earlier on and reproduce each line, ending with the one that has "Sc1 Sc".
Done:
No. 1
NaPa2S4: simulated powder diffractogram (copper Kα), based on a crystal structure in Alexandria, relaxed with PBE.

Atomic structure:
```
data_NaPa2S4
_chemical_formula_sum 'Na2 Pa4 S8'
_cell_length_a 6.770
_cell_length_b 6.770
_cell_length_c 13.409
_cell_angle_alpha 90.00
_cell_angle_beta 90.00
_cell_angle_gamma 146.25
_space_group_name_H-M_alt 'P 1'
_space_group_IT_number 1
loop_
_space_group_symop_operation_xyz
'x,y,z'
loop_
_atom_site_label
_atom_site_type_symbol
_atom_site_fract_x
_atom_site_fract_y
_atom_site_fract_z
Na1 Na 0.111 0.889 0.750
Na2 Na 0.889 0.111 0.250
Pa1 Pa 0.370 0.630 0.567
Pa2 Pa 0.370 0.630 0.933
Pa3 Pa 0.630 0.370 0.067
Pa4 Pa 0.630 0.370 0.433
S1 S 0.000 0.000 0.000
S2 S 0.000 0.000 0.500
S3 S 0.269 0.731 0.114
S4 S 0.269 0.731 0.386
S5 S 0.451 0.549 0.750
S6 S 0.549 0.451 0.250
S7 S 0.731 0.269 0.614
S8 S 0.731 0.269 0.886
```

Most intense lines, 10° ≤ 2θ ≤ 90°, sorted by position:
two_theta  I_rel
13.21  90
15.19  47
23.65  53
24.19  100
30.76  43
31.07  33
33.60  45
36.25  31
41.35  32
46.67  61

No. 2
Na4PaS4: simulated powder diffractogram (copper Kα), based on a crystal structure in Alexandria, relaxed with PBE.

Atomic structure:
```
data_Na4PaS4
_chemical_formula_sum 'Na4 Pa1 S4'
_cell_length_a 7.734
_cell_length_b 7.734
_cell_length_c 7.734
_cell_angle_alpha 126.95
_cell_angle_beta 126.95
_cell_angle_gamma 78.33
_space_group_name_H-M_alt 'P 1'
_space_group_IT_number 1
loop_
_space_group_symop_operation_xyz
'x,y,z'
loop_
_atom_site_label
_atom_site_type_symbol
_atom_site_fract_x
_atom_site_fract_y
_atom_site_fract_z
Na1 Na 0.000 0.500 0.500
Na2 Na 0.202 0.202 0.000
Na3 Na 0.500 0.000 0.500
Na4 Na 0.798 0.798 0.000
Pa1 Pa 0.500 0.500 0.000
S1 S 0.162 0.600 0.000
S2 S 0.400 0.400 0.562
S3 S 0.600 0.162 0.000
S4 S 0.838 0.838 0.438
```

Most intense lines, 10° ≤ 2θ ≤ 90°, sorted by position:
two_theta  I_rel
14.79  100
18.16  25
23.49  19
25.76  33
29.86  37
36.78  41
39.82  36
48.06  19
52.98  16
68.32  11

No. 3
Na3Sc3PaS8: simulated powder diffractogram (copper Kα), based on a crystal structure in Alexandria, relaxed with PBE.

Atomic structure:
```
data_Na3Sc3PaS8
_chemical_formula_sum 'Na3 Sc3 Pa1 S8'
_cell_length_a 8.013
_cell_length_b 8.013
_cell_length_c 8.013
_cell_angle_alpha 56.78
_cell_angle_beta 56.78
_cell_angle_gamma 56.78
_space_group_name_H-M_alt 'P 1'
_space_group_IT_number 1
loop_
_space_group_symop_operation_xyz
'x,y,z'
loop_
_atom_site_label
_atom_site_type_symbol
_atom_site_fract_x
_atom_site_fract_y
_atom_site_fract_z
Na1 Na 0.000 0.500 0.500
Na2 Na 0.500 0.000 0.500
Na3 Na 0.500 0.500 0.000
Sc1 Sc 0.000 0.000 0.500